Excerpt:
-- begin --
Entry 1:
# C49H53AsCrN5O3Si

A molecular structure, C49H53AsCrN5O3Si in a non-equilibrium geometry (ωB97M-V with the def2-TZVPD basis set, the OMol25 dataset).

The total energy comes out at -5968.30772 Ha. The value obtained for the LUMO energy (spin up / spin down) is 2.0 / 2.0 eV. The net charge is -1. For the HOMO energy (spin up / spin down), the calculation gives -3.1 / -3.1 eV. For the frontier orbital gap (spin up / spin down), the calculation gives 5.06 / 5.10 eV. The spin multiplicity is 5. The expectation value of S² is 6.025.

Last column: natural (NBO) charge in e.
Positions of all 113 atoms, in Å:
Cr (-0.2853, 1.1342, -0.3082)  1.2643
N (-1.7771, 1.8300, 0.9354)  -0.9668
C (-2.4379, 3.1152, 0.8736)  0.1139
C (-3.1167, 3.4713, 2.0356)  -0.1903
C (-3.8288, 4.6472, 2.1234)  -0.2125
C (-3.8778, 5.4705, 1.0110)  -0.2072
C (-3.1858, 5.1239, -0.1332)  -0.2185
C (-2.4058, 3.9592, -0.2417)  0.0373
C (-1.6307, 3.6953, -1.5212)  -0.1252
C (-1.6453, 4.6982, -2.5064)  -0.2038
C (-1.0845, 4.5127, -3.7563)  -0.2408
C (-0.4673, 3.3059, -4.0454)  -0.2296
C (-0.3698, 2.3536, -3.0458)  -0.2504
C (-0.9224, 2.5001, -1.7612)  -0.4739
H (-2.4819, 1.0833, 0.9657)  0.4073
H (-1.2823, 1.8070, 1.8432)  0.4462
H (-3.0520, 2.8053, 2.8865)  0.2278
H (-4.3354, 4.9109, 3.0416)  0.2094
H (-4.4494, 6.3902, 1.0296)  0.2002
H (-3.2729, 5.7876, -0.9750)  0.1993
H (-2.0953, 5.6574, -2.3100)  0.1920
H (-1.1295, 5.3091, -4.4895)  0.1969
H (-0.0411, 3.1174, -5.0249)  0.1964
H (0.1900, 1.4522, -3.2754)  0.2097
C (-2.5035, -4.4461, 5.3827)  -0.2165
C (-2.0235, -3.2013, 5.7558)  -0.2263
C (-1.5745, -2.3120, 4.7849)  -0.2223
C (-1.5909, -2.6565, 3.4396)  -0.3340
C (-2.0769, -3.9096, 3.0746)  -0.1447
C (-2.5299, -4.7969, 4.0375)  -0.2423
As (-0.8148, -1.3238, 2.2073)  0.9958
C (0.8644, -2.3646, 2.0367)  -0.2883
C (1.9735, -1.9003, 2.7321)  -0.2464
C (3.1658, -2.6161, 2.7390)  -0.1749
C (3.2622, -3.8130, 2.0438)  -0.2583
C (2.1506, -4.2992, 1.3663)  -0.2142
C (0.9617, -3.5825, 1.3731)  -0.2230
C (-1.8292, -1.6745, 0.6017)  -1.1551
C (-3.1887, -1.9557, 0.9636)  -0.2093
C (-4.3584, -2.3900, 0.3626)  -0.3998
C (-4.7128, -2.8520, -0.9631)  -0.2454
C (-3.9005, -3.1552, -1.9958)  -0.2431
C (-2.4261, -3.1528, -1.8372)  -0.6291
H (-2.8654, -5.1374, 6.1327)  0.1983
H (-2.0025, -2.9141, 6.7993)  0.2014
H (-1.2076, -1.3345, 5.0800)  0.2153
H (-2.1184, -4.1857, 2.0276)  0.2148
H (-2.9109, -5.7646, 3.7362)  0.2029
H (1.8998, -0.9764, 3.2952)  0.2172
H (4.0196, -2.2357, 3.2890)  0.1930
H (4.1919, -4.3696, 2.0387)  0.2016
H (2.2024, -5.2481, 0.8457)  0.2049
H (0.0921, -3.9768, 0.8619)  0.2285
H (-3.3838, -1.7977, 2.0307)  0.1897
H (-5.2018, -2.3774, 1.0459)  0.1945
H (-5.7811, -2.9683, -1.1281)  0.1898
H (-4.3449, -3.4096, -2.9528)  0.1879
H (-1.9448, -3.3304, -2.8063)  0.2069
C (3.6462, 1.3696, 1.7719)  -0.3795
N (2.5791, 1.9936, 2.5283)  -0.4445
C (2.8724, 2.8946, 3.5187)  0.0565
C (1.9116, 3.5348, 4.1923)  -0.3740
C (0.5099, 3.2732, 3.8497)  0.6206
O (-0.4047, 3.8355, 4.4332)  -0.6383
N (0.2746, 2.3577, 2.8461)  -0.6500
C (1.2467, 1.7354, 2.2219)  0.7556
O (1.0475, 0.8560, 1.3304)  -0.8001
H (4.5722, 1.4787, 2.3351)  0.1928
H (3.7669, 1.8406, 0.7931)  0.1888
H (3.4337, 0.3166, 1.6271)  0.2298
H (3.9285, 3.0420, 3.7107)  0.1932
H (2.1430, 4.2395, 4.9743)  0.2221
C (3.1592, -1.4998, -0.5798)  -0.4110
N (3.5901, -0.3040, -1.2824)  -0.4429
C (4.9455, -0.3208, -1.7911)  -0.1971
C (5.0802, 0.6835, -2.9147)  -0.4191
C (4.6501, 2.0386, -2.3985)  -0.1948
N (3.3296, 1.9605, -1.7968)  -0.4457
C (2.5990, 3.2109, -1.7407)  -0.3950
C (2.7592, 0.7802, -1.4260)  0.8306
O (1.5532, 0.6705, -1.1531)  -0.7270
H (3.0656, -2.3502, -1.2580)  0.1918
H (2.2132, -1.3206, -0.0793)  0.2591
H (3.9031, -1.7532, 0.1801)  0.2034
H (5.1603, -1.3339, -2.1415)  0.2052
H (5.6633, -0.0960, -0.9888)  0.1797
H (4.4352, 0.3860, -3.7448)  0.2185
H (6.1093, 0.7244, -3.2736)  0.2179
H (4.5994, 2.7662, -3.2127)  0.2051
H (5.3778, 2.4177, -1.6691)  0.1819
H (2.2906, 3.5421, -2.7333)  0.2089
-- stop --

Assignment:
Next, find "(0.8644, -2.3646," and "0.1918" in the rows above, and reproduce these two lines and those between.

Written answer:
C (0.8644, -2.3646, 2.0367)  -0.2883
C (1.9735, -1.9003, 2.7321)  -0.2464
C (3.1658, -2.6161, 2.7390)  -0.1749
C (3.2622, -3.8130, 2.0438)  -0.2583
C (2.1506, -4.2992, 1.3663)  -0.2142
C (0.9617, -3.5825, 1.3731)  -0.2230
C (-1.8292, -1.6745, 0.6017)  -1.1551
C (-3.1887, -1.9557, 0.9636)  -0.2093
C (-4.3584, -2.3900, 0.3626)  -0.3998
C (-4.7128, -2.8520, -0.9631)  -0.2454
C (-3.9005, -3.1552, -1.9958)  -0.2431
C (-2.4261, -3.1528, -1.8372)  -0.6291
H (-2.8654, -5.1374, 6.1327)  0.1983
H (-2.0025, -2.9141, 6.7993)  0.2014
H (-1.2076, -1.3345, 5.0800)  0.2153
H (-2.1184, -4.1857, 2.0276)  0.2148
H (-2.9109, -5.7646, 3.7362)  0.2029
H (1.8998, -0.9764, 3.2952)  0.2172
H (4.0196, -2.2357, 3.2890)  0.1930
H (4.1919, -4.3696, 2.0387)  0.2016
H (2.2024, -5.2481, 0.8457)  0.2049
H (0.0921, -3.9768, 0.8619)  0.2285
H (-3.3838, -1.7977, 2.0307)  0.1897
H (-5.2018, -2.3774, 1.0459)  0.1945
H (-5.7811, -2.9683, -1.1281)  0.1898
H (-4.3449, -3.4096, -2.9528)  0.1879
H (-1.9448, -3.3304, -2.8063)  0.2069
C (3.6462, 1.3696, 1.7719)  -0.3795
N (2.5791, 1.9936, 2.5283)  -0.4445
C (2.8724, 2.8946, 3.5187)  0.0565
C (1.9116, 3.5348, 4.1923)  -0.3740
C (0.5099, 3.2732, 3.8497)  0.6206
O (-0.4047, 3.8355, 4.4332)  -0.6383
N (0.2746, 2.3577, 2.8461)  -0.6500
C (1.2467, 1.7354, 2.2219)  0.7556
O (1.0475, 0.8560, 1.3304)  -0.8001
H (4.5722, 1.4787, 2.3351)  0.1928
H (3.7669, 1.8406, 0.7931)  0.1888
H (3.4337, 0.3166, 1.6271)  0.2298
H (3.9285, 3.0420, 3.7107)  0.1932
H (2.1430, 4.2395, 4.9743)  0.2221
C (3.1592, -1.4998, -0.5798)  -0.4110
N (3.5901, -0.3040, -1.2824)  -0.4429
C (4.9455, -0.3208, -1.7911)  -0.1971
C (5.0802, 0.6835, -2.9147)  -0.4191
C (4.6501, 2.0386, -2.3985)  -0.1948
N (3.3296, 1.9605, -1.7968)  -0.4457
C (2.5990, 3.2109, -1.7407)  -0.3950
C (2.7592, 0.7802, -1.4260)  0.8306
O (1.5532, 0.6705, -1.1531)  -0.7270
H (3.0656, -2.3502, -1.2580)  0.1918